Entries =
- - -
{"formula": "LiCd2Ag", "functional": "r²SCAN", "state": "relaxed", "m_tot_mub_per_fu": 0.00, "formation_enthalpy_0k_mev_per_atom": -209, "sg": "Fm-3m (225)", "total_energy_ev_per_atom": -16.197, "density_g_cm3": 7.741, "cell": [[6.6299, 0.0000, 0.0000], [0.0000, 6.6299, 0.0000], [0.0000, 0.0000, 6.6299]], "species": ["Li", "Li", "Li", "Li", "Cd", "Cd", "Cd", "Cd", "Cd", "Cd", "Cd", "Cd", "Ag", "Ag", "Ag", "Ag"], "fractional_positions": [[0.0000, 0.0000, 0.0000], [0.0000, 0.5000, 0.5000], [0.5000, 0.0000, 0.5000], [0.5000, 0.5000, 0.0000], [0.2500, 0.2500, 0.2500], [0.2500, 0.2500, 0.7500], [0.2500, 0.7500, 0.2500], [0.2500, 0.7500, 0.7500], [0.7500, 0.2500, 0.2500], [0.7500, 0.2500, 0.7500], [0.7500, 0.7500, 0.2500], [0.7500, 0.7500, 0.7500], [0.0000, 0.0000, 0.5000], [0.0000, 0.5000, 0.0000], [0.5000, 0.0000, 0.0000], [0.5000, 0.5000, 0.5000]]}
- - -
Wanted =
What is needed: repeat every line further up that contains the word "functional".
Here it is =
{"formula": "LiCd2Ag", "functional": "r²SCAN", "state": "relaxed", "m_tot_mub_per_fu": 0.00, "formation_enthalpy_0k_mev_per_atom": -209, "sg": "Fm-3m (225)", "total_energy_ev_per_atom": -16.197, "density_g_cm3": 7.741, "cell": [[6.6299, 0.0000, 0.0000], [0.0000, 6.6299, 0.0000], [0.0000, 0.0000, 6.6299]], "species": ["Li", "Li", "Li", "Li", "Cd", "Cd", "Cd", "Cd", "Cd", "Cd", "Cd", "Cd", "Ag", "Ag", "Ag", "Ag"], "fractional_positions": [[0.0000, 0.0000, 0.0000], [0.0000, 0.5000, 0.5000], [0.5000, 0.0000, 0.5000], [0.5000, 0.5000, 0.0000], [0.2500, 0.2500, 0.2500], [0.2500, 0.2500, 0.7500], [0.2500, 0.7500, 0.2500], [0.2500, 0.7500, 0.7500], [0.7500, 0.2500, 0.2500], [0.7500, 0.2500, 0.7500], [0.7500, 0.7500, 0.2500], [0.7500, 0.7500, 0.7500], [0.0000, 0.0000, 0.5000], [0.0000, 0.5000, 0.0000], [0.5000, 0.0000, 0.0000], [0.5000, 0.5000, 0.5000]]}